Listing:
=====
(1)
Entry from OMol25: the molecule C3H6ClFO2 at a distorted geometry (wB97M-V/def2-TZVPD).

CARTESIAN COORDINATES (ANGSTROEM)
C (1.23491, -0.29165, -0.24638)
C (-0.04601, 0.23262, 0.39750)
C (-1.28049, -0.34428, -0.25123)
H (3.08802, -0.00567, -0.00104)
H (1.13286, -1.35210, -0.09835)
H (1.18902, -0.00036, -1.32855)
H (-1.23708, -1.48865, -0.09286)
H (-1.26812, -0.10446, -1.33675)
H (-2.50351, 1.01873, 0.24144)
O (2.32954, 0.28869, 0.39683)
O (-2.48698, 0.09364, 0.34941)
F (-0.04702, -0.07394, 1.71160)
Cl (-0.10516, 2.02743, 0.25837)

The SMILES is OCC(F)(Cl)CO. The LUMO energy comes out at 0.6 eV. As for the max |F|: 3.50 eV/A. Its frontier orbital gap is 0.424 Ha. The energy relative to the best compared isomer or geometry (same formula, charge and spin) comes out at 0.197 eV.

Want to see where the charge sits? The Löwdin charges in e are:
1. C -0.25
2. C -0.83
3. C -0.26
4. H 0.05
5. H 0.12
6. H 0.14
7. H 0.16
8. H 0.13
9. H 0.03
10. O -0.01
11. O -0.04
12. F 0.03
13. Cl 0.72

(2)
Entry from OMol25: a cluster of 6 separate species, C17H12BrCl15F9NO2S in total (wB97M-V/def2-TZVPD).

CARTESIAN COORDINATES (ANGSTROEM)
O (4.33301, -1.55663, -0.46672)
C (4.55386, -1.31659, -1.62461)
N (5.43804, -2.00238, -2.46126)
C (5.62686, -1.33088, -3.68999)
O (6.45949, -1.62160, -4.50560)
C (4.58297, -0.25690, -3.71325)
C (4.19309, 0.62945, -4.69269)
Br (5.03417, 0.67642, -6.37486)
C (3.14730, 1.50409, -4.42221)
C (2.50378, 1.49168, -3.18314)
C (1.35235, 2.43633, -2.92040)
C (0.05817, 1.77611, -2.43488)
C (-0.45626, 0.67039, -3.33489)
F (-0.26462, 1.04708, -4.63788)
F (0.20654, -0.49391, -3.17608)
C (-2.00069, 0.42263, -3.25374)
F (-2.38306, -0.20349, -4.37174)
F (-2.64180, 1.59313, -3.20699)
S (-2.61045, -0.67142, -1.81893)
F (-3.97196, -0.92440, -2.58782)
F (-3.27954, 0.57611, -1.08229)
F (-1.27899, -0.40238, -0.98490)
F (-1.95357, -1.93024, -2.50623)
F (-3.11631, -1.59739, -0.65031)
C (2.90863, 0.60258, -2.19051)
C (3.94345, -0.25529, -2.47712)
H (6.22820, -2.46864, -2.03699)
H (2.80733, 2.20377, -5.17488)
H (1.15836, 3.03181, -3.81018)
H (1.64699, 3.10779, -2.11021)
H (-0.70164, 2.55721, -2.38981)
H (0.15741, 1.40284, -1.41688)
H (2.42457, 0.58348, -1.22188)
C (3.17263, -5.94164, -1.39518)
Cl (3.65759, -4.35248, -0.81154)
Cl (2.65465, -5.85863, -3.08112)
Cl (4.47794, -7.11449, -1.19851)
H (2.33147, -6.27908, -0.80489)
C (-1.03724, 5.18242, 0.13792)
Cl (0.52048, 4.73246, -0.57357)
Cl (-1.68734, 6.62312, -0.63483)
Cl (-2.16510, 3.83160, 0.02823)
H (-0.87548, 5.40186, 1.18494)
C (-3.54753, 2.04931, 3.67107)
Cl (-3.75490, 1.44681, 2.02984)
Cl (-3.52155, 3.81390, 3.69697)
Cl (-4.81263, 1.42797, 4.73321)
H (-2.59535, 1.69484, 4.04224)
C (-6.08610, -0.02923, 8.41635)
Cl (-7.56368, -0.93695, 8.09258)
Cl (-6.43914, 1.43962, 9.32730)
Cl (-4.90313, -1.02677, 9.25799)
H (-5.65743, 0.26155, 7.46703)
C (-1.23647, -3.18459, 8.17370)
Cl (0.23686, -3.26058, 9.13866)
Cl (-2.57691, -3.96982, 9.00975)
Cl (-1.63722, -1.51397, 7.77214)
H (-1.06007, -3.71799, 7.24956)

The SMILES is O=C1NC(=O)c2c(Br)cc(CCC(F)(F)C(F)(F)S(F)(F)(F)(F)F)cc21.ClC(Cl)Cl.ClC(Cl)Cl.ClC(Cl)Cl.ClC(Cl)Cl.ClC(Cl)Cl. The LUMO energy comes out at -0.6 eV. As for the max |F|: 0.80 eV/A. Its frontier orbital gap is 0.336 Ha.

Want to see where the charge sits? The Löwdin charges in e are:
1. O 0.06
2. C -0.42
3. N 0.18
4. C -0.38
5. O 0.11
6. C -0.12
7. C -0.60
8. Br 0.82
9. C -0.05
10. C -0.19
11. C -0.14
12. C -0.10
13. C -0.44
14. F 0.12
15. F 0.13
16. C -0.43
17. F 0.13
18. F 0.13
19. S 0.78
20. F -0.12
21. F -0.18
22. F -0.14
23. F -0.11
24. F -0.11
25. C 0.06
26. C -0.07
27. H 0.16
28. H 0.12
29. H 0.12
30. H 0.06
31. H 0.10
32. H 0.12
33. H 0.14
34. C -1.55
35. Cl 0.59
36. Cl 0.52
37. Cl 0.52
38. H 0.01
39. C -1.52
40. Cl 0.58
41. Cl 0.55
42. Cl 0.53
43. H 0.01
44. C -1.55
45. Cl 0.53
46. Cl 0.52
47. Cl 0.53
48. H 0.01
49. C -1.56
50. Cl 0.53
51. Cl 0.53
52. Cl 0.51
53. H -0.03
54. C -1.56
55. Cl 0.53
56. Cl 0.52
57. Cl 0.50
58. H 0.01

(3)
=====
Work order:
Print only the last part of the calculation results above, starting with the line that has "(-2.38306, -0.20349,".
Here it is:
F (-2.38306, -0.20349, -4.37174)
F (-2.64180, 1.59313, -3.20699)
S (-2.61045, -0.67142, -1.81893)
F (-3.97196, -0.92440, -2.58782)
F (-3.27954, 0.57611, -1.08229)
F (-1.27899, -0.40238, -0.98490)
F (-1.95357, -1.93024, -2.50623)
F (-3.11631, -1.59739, -0.65031)
C (2.90863, 0.60258, -2.19051)
C (3.94345, -0.25529, -2.47712)
H (6.22820, -2.46864, -2.03699)
H (2.80733, 2.20377, -5.17488)
H (1.15836, 3.03181, -3.81018)
H (1.64699, 3.10779, -2.11021)
H (-0.70164, 2.55721, -2.38981)
H (0.15741, 1.40284, -1.41688)
H (2.42457, 0.58348, -1.22188)
C (3.17263, -5.94164, -1.39518)
Cl (3.65759, -4.35248, -0.81154)
Cl (2.65465, -5.85863, -3.08112)
Cl (4.47794, -7.11449, -1.19851)
H (2.33147, -6.27908, -0.80489)
C (-1.03724, 5.18242, 0.13792)
Cl (0.52048, 4.73246, -0.57357)
Cl (-1.68734, 6.62312, -0.63483)
Cl (-2.16510, 3.83160, 0.02823)
H (-0.87548, 5.40186, 1.18494)
C (-3.54753, 2.04931, 3.67107)
Cl (-3.75490, 1.44681, 2.02984)
Cl (-3.52155, 3.81390, 3.69697)
Cl (-4.81263, 1.42797, 4.73321)
H (-2.59535, 1.69484, 4.04224)
C (-6.08610, -0.02923, 8.41635)
Cl (-7.56368, -0.93695, 8.09258)
Cl (-6.43914, 1.43962, 9.32730)
Cl (-4.90313, -1.02677, 9.25799)
H (-5.65743, 0.26155, 7.46703)
C (-1.23647, -3.18459, 8.17370)
Cl (0.23686, -3.26058, 9.13866)
Cl (-2.57691, -3.96982, 9.00975)
Cl (-1.63722, -1.51397, 7.77214)
H (-1.06007, -3.71799, 7.24956)

The SMILES is O=C1NC(=O)c2c(Br)cc(CCC(F)(F)C(F)(F)S(F)(F)(F)(F)F)cc21.ClC(Cl)Cl.ClC(Cl)Cl.ClC(Cl)Cl.ClC(Cl)Cl.ClC(Cl)Cl. The LUMO energy comes out at -0.6 eV. As for the max |F|: 0.80 eV/A. Its frontier orbital gap is 0.336 Ha.

Want to see where the charge sits? The Löwdin charges in e are:
1. O 0.06
2. C -0.42
3. N 0.18
4. C -0.38
5. O 0.11
6. C -0.12
7. C -0.60
8. Br 0.82
9. C -0.05
10. C -0.19
11. C -0.14
12. C -0.10
13. C -0.44
14. F 0.12
15. F 0.13
16. C -0.43
17. F 0.13
18. F 0.13
19. S 0.78
20. F -0.12
21. F -0.18
22. F -0.14
23. F -0.11
24. F -0.11
25. C 0.06
26. C -0.07
27. H 0.16
28. H 0.12
29. H 0.12
30. H 0.06
31. H 0.10
32. H 0.12
33. H 0.14
34. C -1.55
35. Cl 0.59
36. Cl 0.52
37. Cl 0.52
38. H 0.01
39. C -1.52
40. Cl 0.58
41. Cl 0.55
42. Cl 0.53
43. H 0.01
44. C -1.55
45. Cl 0.53
46. Cl 0.52
47. Cl 0.53
48. H 0.01
49. C -1.56
50. Cl 0.53
51. Cl 0.53
52. Cl 0.51
53. H -0.03
54. C -1.56
55. Cl 0.53
56. Cl 0.52
57. Cl 0.50
58. H 0.01

(3)